How do I include the Extjs 5.1 features to the Eclipse? - extjs

Unrelated to this entry: calculated crystals:
********
[1]
Computed, not measured: crystalline CdNi6Ir at its relaxed geometry at the GGA-PBEsol level of DFT.

Cell: 7.229 10.236 10.229 Å, 90.00 90.00 90.00°
Space group Cmmm (No. 65)
Symmetry-distinct sites (fractional):
Cd1 0.000 0.000 0.249 [4 per cell]
Cd2 0.000 0.245 0.500 [4 per cell]
Ni1 0.000 0.000 0.000 [2 per cell]
Ni2 0.000 0.000 0.500 [2 per cell]
Ni3 0.000 0.255 0.243 [8 per cell]
Ni4 0.000 0.500 0.000 [2 per cell]
Ni5 0.000 0.500 0.500 [2 per cell]
Ni6 0.242 0.377 0.371 [16 per cell]
Ni7 0.243 0.373 0.122 [16 per cell]
Ir1 0.000 0.243 0.000 [4 per cell]
Ir2 0.000 0.500 0.250 [4 per cell]

Calculated values
Energy of formation from the pure elements, eV/f.u.: 0.52
Size of the total moment, μB/cell: 20.815

[2]
Computed, not measured: crystalline ErCu3Se2ClO8 at its relaxed geometry at the GGA-PBEsol level of DFT.

Cell: 6.250 9.376 6.896 Å, 90.00 90.00 90.00°
Space group Pmmn (No. 59, origin choice 2)
Symmetry-distinct sites (fractional):
Er1 0.250 0.250 0.233 [2 per cell]
Cu1 0.000 0.000 0.500 [4 per cell]
Cu2 0.250 0.250 0.707 [2 per cell]
Se1 0.250 0.563 0.915 [4 per cell]
Cl1 0.250 0.750 0.349 [2 per cell]
O1 0.035 0.590 0.761 [8 per cell]
O2 0.250 0.112 0.503 [4 per cell]
O3 0.250 0.121 0.929 [4 per cell]

Calculated values
Size of the total moment, μB/cell: 6.014
Formation energy without anion corrections, eV/f.u.: -18.00

[3]
Computed, not measured: crystalline P5Pt at its relaxed geometry at the GGA-PBEsol level of DFT.

Cell: 3.506 10.392 4.796 Å, 90.00 90.00 90.00°
Space group Cmmm (No. 65)
Symmetry-distinct sites (fractional):
P1 0.000 0.000 0.000 [2 per cell]
P2 0.000 0.326 0.000 [4 per cell]
P3 0.000 0.338 0.500 [4 per cell]
Pt1 0.000 0.000 0.500 [2 per cell]

Calculated values
Energy of formation from the pure elements, eV/f.u.: -0.84
Size of the total moment, μB/cell: 0.000

[4]
Computed, not measured: crystalline Sc2ZnPt at its relaxed geometry at the GGA-PBEsol level of DFT.

Cell: 3.281 4.610 4.610 Å, 90.00 90.00 90.00°
Space group Pmm2 (No. 25)
Symmetry-distinct sites (fractional):
Sc1 0.000 0.000 0.000 [1 per cell]
Sc2 0.000 0.500 0.499 [1 per cell]
Zn1 0.500 0.500 0.998 [1 per cell]
Pt1 0.500 0.000 0.501 [1 per cell]

Calculated values
Energy of formation from the pure elements, eV/f.u.: -3.32
Size of the total moment, μB/cell: 0.000

> Number 4 is which compound?

Sc2ZnPt

> size of the total moment of number 1 (CdNi6Ir)?

20.815 μB/cell

> Which formula does entry 4 have?

Sc2ZnPt

----------

This record from the Alexandria database describes PmPr5Cd3 after structural relaxation. The functional is PBE.

Cell lengths 7.1282, 9.5508, 9.5504 Å; angles 120.00, 90.00, 90.00 degrees
Sites, in units of the cell vectors:
Pr (0.5000, 0.6667, 0.3333)
Pr (0.2500, 0.3347, 0.3346)
Cd (0.2500, 0.3302, 0.0000)
Cd (0.7500, 0.3301, 0.3301)
Pr (0.7500, 0.0000, 0.3346)
Pr (0.2500, 0.6653, 0.0000)
Pr (0.2500, 0.0000, 0.6654)
Cd (0.2500, 0.0000, 0.3301)
Pm (0.0000, 0.0000, 0.0000)
Cd (0.7500, 0.6698, 0.0000)
********
Here the entry continues:

I am trying add Extjs plugin to eclipse. But it was not working. Can anyone help me how can I include Ext js features to eclipse.


why angularjs is not supported in old eclipse versions

I am new to anugularjs. I am having eclipse Indigo service. I am able to execute some of the angularjs example using notepad++ but routing examples are not working so I tried to use eclipse, but angularjs simple examples are also not working eclipse version: indigo service release 2.Do I need to install any plugins for it to support.

Sencha plugin problems with IntelliJ

I am new to Sencha and Intellij. I downloaded the sencha plugin, but it tells me it won't run because of dependencies on JavaScript and com.intellij.css. Where/how to I get those into the IDE ?
The plugin will only work in IDEA Ultimate, because the Javascript and CSS plugins are not included in the Community edition.
Alternatively, it should work with other IDEs that contain these plugins (RubyMine, WebStorm etc).

Version of Ext JS used by AEM 6.1

Which version of Ext JS library does AEM 6.1 use? Is there a direct way/console to find this out?
It uses v3.4.0 of ExtJS on top of which the AEM Widget Library is built. You can find the details at /libs/cq/ui/widgets/source/ext/release-notes.html
The following Note is also available at
Adobe Experience Manager is built upon ExtJS 3.4.0.

How to Add AngularJS 1.4 in Visual Studio 2015 RC Cordova TypeScript Project

Unrelated to this text: materials data.
____________
[1]
Below is crystalline Na2InAu at its relaxed geometry, with properties calculated at the PBE level.

a b c (Å): 11.275 11.275 11.275
angles (deg): 16.47 16.47 16.47
Element x y z (fractional)
Na (0.096, 0.096, 0.096)
Na (0.904, 0.904, 0.904)
In (0.000, 0.000, 0.000)
Au (0.500, 0.500, 0.500)

Results
D(E_F), states/eV/atom: 0.229
Formation energy, meV/atom: -20
DFT total energy, eV/atom: -2.183
ρ, g cm⁻³: 5.913
Total magnetic moment, μB per formula unit: 0.000


[2]
Below is crystalline NaIn3Au2 at its relaxed geometry, with properties calculated at the PBE level.

a b c (Å): 8.654 8.654 8.654
angles (deg): 148.90 120.00 69.13
Element x y z (fractional)
Na (0.122, 0.122, 0.000)
Na (0.878, 0.878, 0.000)
In (0.121, 0.323, 0.798)
In (0.334, 0.000, 0.334)
In (0.475, 0.677, 0.798)
In (0.525, 0.323, 0.202)
In (0.666, 0.000, 0.666)
In (0.879, 0.677, 0.202)
Au (0.159, 0.500, 0.659)
Au (0.300, 0.800, 0.500)
Au (0.700, 0.200, 0.500)
Au (0.841, 0.500, 0.341)

Results
D(E_F), states/eV/atom: 0.355
Formation energy, meV/atom: -250
E above lowest polymorph, meV per atom: 0
DFT total energy, eV/atom: -2.932
ρ, g cm⁻³: 8.835
Total magnetic moment, μB per formula unit: 0.000


[3]
Below is crystalline Na4In3Au2 at its relaxed geometry, with properties calculated at the PBE level.

a b c (Å): 8.218 8.218 7.399
angles (deg): 109.94 109.94 31.39
Element x y z (fractional)
Na (0.103, 0.103, 0.359)
Na (0.271, 0.271, 0.839)
Na (0.729, 0.729, 0.161)
Na (0.897, 0.897, 0.641)
In (0.407, 0.407, 0.326)
In (0.500, 0.500, 0.000)
In (0.593, 0.593, 0.674)
Au (0.094, 0.094, 0.915)
Au (0.906, 0.906, 0.085)

Results
D(E_F), states/eV/atom: 0.305
Formation energy, meV/atom: -232
DFT total energy, eV/atom: -2.459
ρ, g cm⁻³: 5.664
Total magnetic moment, μB per formula unit: 0.000


[4]
Below is crystalline Na12InAu6 at its relaxed geometry, with properties calculated at the PBE level.

a b c (Å): 7.761 7.761 7.761
angles (deg): 88.48 88.48 88.48
Element x y z (fractional)
Na (0.027, 0.314, 0.913)
Na (0.087, 0.973, 0.686)
Na (0.115, 0.352, 0.472)
Na (0.314, 0.913, 0.027)
Na (0.352, 0.472, 0.115)
Na (0.472, 0.115, 0.352)
Na (0.528, 0.885, 0.648)
Na (0.648, 0.528, 0.885)
Na (0.686, 0.087, 0.973)
Na (0.885, 0.648, 0.528)
Na (0.913, 0.027, 0.314)
Na (0.973, 0.686, 0.087)
In (0.500, 0.500, 0.500)
Au (0.238, 0.758, 0.385)
Au (0.242, 0.615, 0.762)
Au (0.385, 0.238, 0.758)
Au (0.615, 0.762, 0.242)
Au (0.758, 0.385, 0.238)
Au (0.762, 0.242, 0.615)

Results
D(E_F), states/eV/atom: 0.337
Formation energy, meV/atom: -225
DFT total energy, eV/atom: -2.237
ρ, g cm⁻³: 5.593
Total magnetic moment, μB per formula unit: 0.000


[5]
Below is crystalline NaIn2Au6 at its relaxed geometry, with properties calculated at the PBE level.

a b c (Å): 8.771 8.771 5.198
angles (deg): 90.25 90.25 119.02
Element x y z (fractional)
Na (0.250, 0.750, 0.750)
Na (0.750, 0.250, 0.250)
In (0.157, 0.343, 0.500)
In (0.343, 0.157, 0.000)
In (0.657, 0.843, 0.000)
In (0.843, 0.657, 0.500)
Au (0.004, 0.166, 0.997)
____________

I have a Visual Studio 2015 RC and create a TypeScript Cordova project.
I want to use AngularJS in this project, but after search for a long time, there's no such step by step guide telling me how to apply AngularJS 1.4 in VS2015RC TypeScript Cordova project.
Could someone share me the steps about how to add AngularJS in the TypeScript Cordova project of VS2015RC?
ps. there's a AngularJSToDo demo project, but it's not TypeScript version.
thanks a lot.
Could someone share me the steps about how to add AngularJS in the TypeScript Cordova project of VS2015RC?
Add angular.js
Get definitions for angular :
Start using TypeScript .ts files like any other angular project e.g.

Source Code of Ext JS Examples

I saw some examples from a JavaScript library: Ext JS i.e.:
I have some knowledge about JQuery developed some applications. How can I get sources of that examples to try them myself and what should I download to run them?
They are in the extjs package /ext-4.0.2a/examples/key-feed-viewer.
Download link:
Newest versions of Ext js for download are:
For Extjs version 4.2.0 you can download it here
Ext js 5 can download it here ( Ext js 5 has a trial period )
